Thursday, August 15, 2024

Mark Twain Guys

It's time for even more scans, courtesy of the Mysterious Benefactor. He gives so much, and asks nothing in return. EXCEPT FOR YOUR IMMORTAL SOUL! Just kidding, sorry if I frightened you. We're going to hang out with some of the Mark Twain's crew today. The Order of the Red String Tie. I just made that up, but it's brilliant, and somebody should give me one million dollars.

"Hey Marty, how is Doc Brown?". Marty would laugh, but (as far as I can tell) this photo is from 1984, so he just gives us a slightly baffled smile instead. It's OK, I have the benefit of being from THE FUTURE! 

I don't know this fella's name (where is his name tag??), but he could very well be an old-timer who goes back to the Walt Days. "Walt called me Charlie. That isn't my name, but it was a thrill, anyhow!". What a story. 

Uh-oh, look at this guy. "C'mon kid, Miss Crabtree knows you are playing hooky, and the truant officer will be here any minute". "Aw, gee whiz!".

Mike and Christopher. Together they were known as the "Gruesome Twosome". Well, not really, but they liked to pretend that was true. "I've changed the password to our clubhouse. Now it's two knocks and a 'ca-CAW'!". "Gosh, I'll never remember that!". 

I know this one seems redundant, but I included it because a young Weird Al Yankovich is walking past  Christopher. He's like a sturgeon!

A different crew member named "Mike" satisfies his sweet tooth with a Snickers bar. I'm guessing that it is a no-no to eat while on duty as a CM, so I hope Mike enjoys his unemployment. Rules are there for a reason, sir! His supervisor will punch a hole through his hat as the final coup de grĂ¢ce. It would be different if he'd been eating a Dolly Madison Zinger, but what's done is done. 

MANY THANKS to the Mysterious Benefactor!


  1. Interesting....that first guy is wearing a "30th Year" name tag, so it should be from 1985. The others are wearing regular name tags. Is Christopher wearing a light saber on his hip?

    Mike wasn't feeling like himself earlier. In fact, he was feeling more like Betty White.....until he ate that Snickers. Snickers satisfies.

  2. Major-
    "With Snickers you get a fistful of peanuts in every bar". Exactly... who cares if you're 'eatin' on the job-!'

    Thanks to the M B.

  3. I think "Charlie" does have a name tag; on the left. But it's turned away from us. What else could it be? Maybe the pic is flipped, left to right, and the tag should be on the right like the rest of the photos.

    I wonder if Christopher's pals, "Pooh" and "Eeyore" are nearby? Probably not. I don't think they were allowed to stray out of Fantasyland.

    Mike looks a little impish. I wonder if he engaged in "shenanigans"... like someone else we know.

    I wasn't even aware that they had Snickers in Disneyland. Maybe he brought it from home? Maybe he has a stash of goodies hidden somewhere?

    I guess all us Junior Gorillas have already lost our immortal soul to the Mysterious Benefactor, after all the pics he has provided for us. Oh well, like you said above, "what's done is done". Thanks, MB and MP.

  4. The second unidentified cast member is JIM EASON. He was a well known cast member who received several cast awards. Off hand I do not know when he started , but he was actually the first cast member selected to open the “new” HAUNTED MANSION in 1969 - at that time he was already a seasoned DISNEYLANDER. I remember reading an article about his experience with the opening of the Mansion and he said when they first opened guest would walk into the foyer and say “did the butler do it!??” As if they were the first clever guest to say that. Lol. It looks from todays photo it looks like Jim worked well into the 1980’s.

  5. I've got one of those "Captain" hat badges as seen in the first photo; I'd love to get a matching hat for it, but I'm not sure what style hat that is!

  6. Unbuttoned vests: I am not sure what else to say, and I don't care how shiny white your teeth are. The older guy I do remember: but at the Haunted Mansion always looking ominous and indifferent. I worked for someone who was also on the Haunted Mansion opening crew: then went to WDW to head up resorts...then to the Queen Mary to help "fix". I found out that decades later after reading an old Disneyland Line. I'll take a Snickers over an unbuttoned vest: and here we have poured gasoline over a fire. Eating on stage: absolutely verboten. Unless you are leading a VIP tour: then you can. Otherwise mortals cannot. Yes: there were Snickers in Disneyland in the vending machines: along with other things you would never find in the park INCLUDING Zingers!!! Although I think it was another brands Zinger: not the Dolly Madison brand. Or maybe they were ACTUAL Zingers? I often got little pink donuts covered with pink coconut. I am pretty sure the vendor was Hostess. Mike and Christopher: hmmmm....I don't think Mike is Mike: I have seen that guy before and his name was not Mike: and these particular photos may have been taken after my time: due to the headset radio system. In the 80's they looked more CIA headset, than these little black ones. Christophers name tag has some service pin or something. If you had a service pin you would have to request a little hole to be drilled into your name tag and it was blank rather than having a castle or a Mickey. Service pins and "Flags of other nations" were the only acceptable embellishments to be worn, and issued by wardrobe. Tour guides had the shiny "D" pins, and some others had little things: participant pins and whatnot: like the Orville Redenbacher pin that always broke and was too heavy for the costume and it drooped: so people rarely wore them. The broken ones collected on the bottom of my locker...before I tossed them all out. The flag pins would communicate to guests what other languages you may speak. You got more money for that. Not a lot: I think it was .10 more an hour. Any pin/name tag was to be worn on the side of the body dictated by your costume/wardrobe. In most cases it was on the right. Some people made up their own rules: "Verboten". As a supervisor we had clips on the back of our name tags to clip to a tie, shirt pocket, etc. I'm pretty sure I remember there was a pocket protector with a place for a name tag too. Did I see those on painters or other trades? any case: thanks MB and Major for the morning meltdown!

  7. Many thanks to the MB for providing a great opportunity to descend into minutiae. It’s what GDB does best!

    Fun to see the CM faces, most look like they are having fun, probably because of unbuttoned vests and candy bars.

    Thanks Major!


  8. Anonymous9:12 AM

    I had moved on some 7-8 years before these were taken. But I do recognize Jim Eason. He was one of those 'fixtures'...the 'old man' in the Park. Lots of Southern grace and humor coming from Georgia. This is a great shot of him. Sadly, Jim passed in 1987. I'm going to add this picture to the FB site dedicated to those we lost. KS

  9. I don’t know about Dolly Madison and Disneyland but in the 1980’s HOSTESS FRUIT PIES ( cherry or apple ) were sold at FISHING PIER SNACKS shack on Tom Sawyer Island , in the Fort Wilderness Canteen and the LUNCHING PAD in Tomorrowland …. And I’d speculate elsewhere.
    SARA LEE deserts were served at CAFE ORLEANS and Le Petite Window in New Orleans Square and The Main Street Bake Shop and Walt Disney World - both locations were sponsored by Sara Lee . I know the white coconut cake was very popular at Cafe Orleans it was served with two strawberries. I still see the coconut cake for sale in the frozen section of supermarkets.

    The metal pin Bu mentioned was a program initiated by Disney costume designers when EPCOT CENTER was being developed.. this was to discontinue the use of costume patches with sponsorship identification … so if the sponsor left the costume didn’t have to be damaged removing the sewn in patch so a series of metal sponsorship pins were used … COLUMBIA COFFEE GROWERS …DOLE… ORVILLE REDENBACHER , AT&T etc are some Disneyland examples …. But these eventually were abandoned as the pins broke , castmembers lost them and the continual removal / applying of the pins caused fabric damage . The pins are very collectible today especially try to get the full set of opening year EPCOT CENTER ones.
    It’s interesting to see that sometimes Disney didn’t even attempt to remove the sponsor patches at all after the sponsorship ended : an example was GOODYEAR PEOPLEMOVER … GOODYEAR vacated in 1981 and the attraction costumes with the Goodyear Logo ( and goodyear colors blue & yellow)on the jumpsuit and coats were used until 1987 when a whole new costume was designed!

  10. Anonymous10:34 AM


    Is the slogan :

    “Nobody does it like Sara Lee”. Or
    “Nobody doesn’t like Sara Lee” ???

  11. Lou and Sue11:05 AM

    ^ “Nobody doesn’t like Sara Lee”

  12. Lou and Sue11:07 AM

    “Everybody doesn’t like something,
    But nobody doesn’t like Sara Lee”

  13. Anonymous12:32 PM

**Unrelated to this entry: crystal structures**
┌──
[1]
# ZrIn2Pb2 (PBE-GGA, relaxed)
data_ZrIn2Pb2
_chemical_formula_sum 'Zr2 In4 Pb4'
_cell_length_a 4.312
_cell_length_b 4.312
_cell_length_c 15.616
_cell_angle_alpha 90.00
_cell_angle_beta 90.00
_cell_angle_gamma 90.00
_space_group_name_H-M_alt 'I 4/m m m'
_space_group_IT_number 139
_space_group_name_Hall '-I 4 2'
loop_
_atom_site_label
_atom_site_fract_x
_atom_site_fract_y
_atom_site_fract_z
_atom_site_occupancy
Zr1 0.000 0.000 0.000 1
In1 0.000 0.000 0.412 1
Pb1 0.000 0.500 0.250 1
# M_tot	0.0	μB per formula unit
# D(E_F)	9.0	states/eV/cell
# distance to the lowest polymorph of the same formula	0.80	eV/f.u.
# uncorrected energy	-3.94	eV/atom
# crystal system	tetragonal
# ΔE_f	351.1	meV per atom



[2]
# Zr2InPb (PBE-GGA, relaxed)
data_Zr2InPb
_chemical_formula_sum 'Zr6 In3 Pb3'
_cell_length_a 3.2721
_cell_length_b 3.2721
_cell_length_c 30.7939
_cell_angle_alpha 90.00
_cell_angle_beta 90.00
_cell_angle_gamma 120.00
_space_group_name_H-M_alt 'R -3 m'
_space_group_IT_number 166
_space_group_name_Hall '-R 3 2"'
loop_
_atom_site_label
_atom_site_fract_x
_atom_site_fract_y
_atom_site_fract_z
_atom_site_occupancy
Zr1 0.0000 0.0000 0.2491 1
In1 0.0000 0.0000 0.5000 1
Pb1 0.0000 0.0000 0.0000 1
# M_tot	0.0	μB per formula unit
# D(E_F)	8.2	states/eV/cell
# uncorrected energy	-6.00	eV/atom
# crystal system	trigonal
# ΔE_f	-116.4	meV per atom



[3]
# Zr8InPb2 (PBE-GGA, relaxed)
data_Zr8InPb2
_chemical_formula_sum 'Zr16 In2 Pb4'
_cell_length_a 7.913
_cell_length_b 13.890
_cell_length_c 5.406
_cell_angle_alpha 90.00
_cell_angle_beta 116.81
_cell_angle_gamma 90.00
_space_group_name_H-M_alt 'C 1 2/m 1'
_space_group_IT_number 12
_space_group_name_Hall '-C 2y'
loop_
_atom_site_label
_atom_site_fract_x
_atom_site_fract_y
_atom_site_fract_z
_atom_site_occupancy
Zr1 0.000 0.218 0.000 1
Zr2 0.088 0.500 0.795 1
Zr3 0.204 0.109 0.661 1
In1 0.000 0.000 0.000 1
Pb1 0.000 0.306 0.500 1
# M_tot	0.0	μB per formula unit
# D(E_F)	22.5	states/eV/cell
# uncorrected energy	-7.14	eV/atom
# crystal system	monoclinic
# ΔE_f	4.3	meV per atom



[4]
# Zr6In2Pb (PBE-GGA, relaxed)
data_Zr6In2Pb
_chemical_formula_sum 'Zr12 In4 Pb2'
_cell_length_a 9.734
_cell_length_b 9.734
_cell_length_c 4.397
_cell_angle_alpha 90.00
_cell_angle_beta 90.00
_cell_angle_gamma 90.00
_space_group_name_H-M_alt 'P 42/m n m'
_space_group_IT_number 136
_space_group_name_Hall '-P 4n 2n'
loop_
_atom_site_label
_atom_site_fract_x
_atom_site_fract_y
_atom_site_fract_z
_atom_site_occupancy
Zr1 0.007 0.335 0.000 1
Zr2 0.153 0.847 0.500 1
In1 0.186 0.186 0.500 1
Pb1 0.000 0.000 0.000 1
# M_tot	0.0	μB per formula unit
# D(E_F)	16.3	states/eV/cell
# uncorrected energy	-6.91	eV/atom
# crystal system	tetragonal
# ΔE_f	-187.5	meV per atom



[5]
# Zr4InPb (PBE-GGA, relaxed)
data_Zr4InPb
_chemical_formula_sum 'Zr16 In4 Pb4'
_cell_length_a 8.315
_cell_length_b 8.315
_cell_length_c 8.315
_cell_angle_alpha 90.00
_cell_angle_beta 90.00
_cell_angle_gamma 90.00
_space_group_name_H-M_alt 'F -4 3 m'
_space_group_IT_number 216
└──
**Here the entry continues**

    I think we members of the Order the Red Hankerchief better look into a Trademark of the name... KS

  14. KS, wow, it sounds like Jim Eason passed not long after today’s photo was taken. I think he’d be glad to know that so many people remember him all these years later!

    Mike Cozart, I guess when I think about it, the Dolly Madison ads were in Vacationland magazines (and possibly Disney News as well?), which is why I associate those snacks with Disneyland, but the ads actually never mention Disneyland at all! It’s not like the famous C&H Sugar ad with the bag of sugar on the fountain. It’s funny how the mind works though, I really did associate Dolly Madison with Disneyland for years. I knew that Sara Lee was a sponsor of one of the restaurants (Cafe Orleans, thank you). Growing up, I don’t remember getting a lot of treats at the park, maybe an ice cream bar on a hot day. I don’t even recall ever going into Carnation for a cone! I’m sure my mom and dad didn’t want to spend the money, or give us “junk”. Gosh I’d love to see some of those sponsorship pins - I have a few old patches, including a few that I later learned were modern fakes, I literally threw them in the trash to remove them from the world. But I have maybe three or four genuine examples! Wow, that’s crazy that they kept the Goodyear patches so long after that company bowed out.

    Anon, I’ve always thought it was “Nobody doesn’t like Sara Lee”. What an odd slogan, almost as odd as “With a name like Smuckers, it has to be good”.

    Lou and Sue, I concur

    Lou and Sue, I can hear the jingle in my brain!

    KS, it’s different enough! I will make millions of dollars - somehow!

  15. I remember the vending machines that were located behind Main St. (behind the Hills Brothers Coffee House/American Egg House). I think that was the first time that I ever saw "modern" vending machines with the springs that turn, to release the items positioned between the coils. And I do remember them having Dolly Madison items....not sure about the Zingers, though. But I remember buying Dolly Madison cinnamon rolls that came two per pack, and with a thick white frosting. I also remember buying Grandma's Cookies from those machines.
